Excerpt >
<<<
# 1
Here is crystalline CeSi3Ir at its relaxed geometry from the Materials Project database. Energies are from r2SCAN.

abc: 5.761 5.761 5.761
angles: 136.84 136.84 62.69
Atoms (fractional coordinates):
Ce 0.000 0.000 0.000
Si 0.267 0.767 0.500
Si 0.417 0.417 0.000
Si 0.767 0.267 0.500
Ir 0.657 0.657 0.000

Formation energy ... -0.893 eV/atom

***

# 2
Here is crystalline Mg2ZnAs2 at its relaxed geometry from the Materials Project database. Energies are from r2SCAN.

abc: 4.142 4.142 13.459
angles: 90.00 90.00 120.00
Atoms (fractional coordinates):
Zn 0.667 0.333 0.184
Mg 0.000 0.000 0.997
Zn 0.667 0.333 0.684
Mg 0.333 0.667 0.315
As 0.667 0.333 0.384
As 0.333 0.667 0.619
Mg 0.333 0.667 0.815
As 0.667 0.333 0.884
As 0.333 0.667 0.119
Mg 0.000 0.000 0.497

Formation energy ... -0.599 eV/atom

***

# 3
Here is crystalline Tb2Se2O7 at its relaxed geometry from the Materials Project database. Energies are from r2SCAN.

abc: 10.596 10.596 5.218
angles: 90.00 90.00 90.00
Atoms (fractional coordinates):
Tb 0.128 0.628 0.000
Tb 0.128 0.872 0.500
Tb 0.372 0.628 0.500
Tb 0.372 0.872 0.000
Tb 0.628 0.128 0.000
Tb 0.628 0.372 0.500
Tb 0.872 0.128 0.500
Tb 0.872 0.372 0.000
Se 0.128 0.128 0.036
Se 0.128 0.372 0.536
Se 0.372 0.128 0.536
Se 0.372 0.372 0.036
Se 0.628 0.628 0.964
Se 0.628 0.872 0.464
Se 0.872 0.628 0.464
Se 0.872 0.872 0.964
O 0.002 0.680 0.627
O 0.002 0.820 0.127
O 0.064 0.064 0.308
O 0.064 0.436 0.808
O 0.180 0.502 0.373
O 0.180 0.998 0.873
O 0.250 0.750 0.250
O 0.250 0.750 0.750
O 0.320 0.502 0.873
O 0.320 0.998 0.373
O 0.436 0.064 0.808
O 0.436 0.436 0.308
O 0.498 0.680 0.127
O 0.498 0.820 0.627
O 0.502 0.180 0.373
O 0.502 0.320 0.873
O 0.564 0.564 0.692
O 0.564 0.936 0.192
O 0.680 0.002 0.627
O 0.680 0.498 0.127
O 0.750 0.250 0.250
O 0.750 0.250 0.750
O 0.820 0.002 0.127
O 0.820 0.498 0.627
O 0.936 0.564 0.192
O 0.936 0.936 0.692
O 0.998 0.180 0.873
O 0.998 0.320 0.373

Formation energy ... -2.372 eV/atom

***

# 4
Here is crystalline Ca3Al7Cu2 at its relaxed geometry from the Materials Project database. Energies are from r2SCAN.

abc: 9.139 9.139 9.139
angles: 35.37 35.37 35.37
Atoms (fractional coordinates):
Ca 0.000 0.000 0.000
Ca 0.143 0.143 0.143
Ca 0.857 0.857 0.857
Al 0.073 0.578 0.578
Al 0.422 0.422 0.927
Al 0.422 0.927 0.422
Al 0.500 0.500 0.500
Al 0.578 0.073 0.578
Al 0.578 0.578 0.073
Al 0.927 0.422 0.422
Cu 0.335 0.335 0.335
Cu 0.665 0.665 0.665

Formation energy ... -0.356 eV/atom

* * * * *

(1)
! Y2InCl7 PBE optimized geometry; values from VASP
! VASP energy: -4.86 eV per atom
! volume: 1175 Å³/cell
! DFT formation energy: -24.2 eV per formula unit
&SYSTEM
  ibrav = 0, nat = 40, ntyp = 3
/
ATOMIC_SPECIES
Cl 35.45 Cl.upf
Y 88.91 Y.upf
In 114.82 In.upf
CELL_PARAMETERS angstrom
6.986 0.000 0.000
0.000 12.712 0.000
0.000 0.000 13.231
ATOMIC_POSITIONS angstrom
Cl 1.747 8.692 5.191
Y 5.240 5.909 10.096
Cl 0.077 5.289 1.597
Y 5.240 0.447 3.480
Cl 3.556 5.788 4.886
Cl 3.436 10.318 8.910
In 5.240 10.191 12.715
Cl 0.063 6.923 8.345
Cl 3.570 11.645 5.018
Y 5.240 4.291 3.333
Y 1.747 6.803 3.135
Cl 0.063 12.144 1.729
In 1.747 3.836 7.132
Cl 6.909 11.645 5.018
Y 1.747 10.647 3.283
Cl 0.057 8.750 2.294
Cl 3.550 3.962 10.937
Cl 3.570 7.423 11.634
Cl 6.929 2.394 4.321
Cl 3.430 6.923 8.345
Cl 0.057 10.318 8.910
Cl 3.550 2.394 4.321
Cl 6.923 0.567 11.502
Y 1.747 8.421 9.899
Y 5.240 2.065 9.948
In 1.747 2.520 0.516
Cl 3.416 5.289 1.597
Cl 3.436 8.750 2.294
Y 1.747 12.264 9.751
Cl 6.909 7.423 11.634
Cl 3.416 1.067 8.213
Cl 1.747 10.376 11.807
Cl 5.240 2.336 1.425
Cl 6.923 5.788 4.886
Cl 0.077 1.067 8.213
Cl 5.240 4.020 8.040
Cl 3.556 0.567 11.502
Cl 3.430 12.144 1.729
Cl 6.929 3.962 10.937
In 5.240 8.876 6.100

(2)
! Li4ZrNbTe2O12 PBE optimized geometry; values from VASP
! VASP energy: -6.56 eV per atom
! volume: 224 Å³/cell
! DFT formation energy: -47.5 eV per formula unit
&SYSTEM
  ibrav = 0, nat = 20, ntyp = 5
/
ATOMIC_SPECIES
O 16.00 O.upf
Li 6.94 Li.upf
Te 127.60 Te.upf
Zr 91.22 Zr.upf
Nb 92.91 Nb.upf
>>>

To do >
It remains to search the entries further up for the word "Materials" and echo each line that has it.

Response >
Here is crystalline CeSi3Ir at its relaxed geometry from the Materials Project database. Energies are from r2SCAN.
Here is crystalline Mg2ZnAs2 at its relaxed geometry from the Materials Project database. Energies are from r2SCAN.
Here is crystalline Tb2Se2O7 at its relaxed geometry from the Materials Project database. Energies are from r2SCAN.
Here is crystalline Ca3Al7Cu2 at its relaxed geometry from the Materials Project database. Energies are from r2SCAN.